Mediacology: Green Media Education Website
World Bridger Media - Profit -
The Mediacology: Green Media Education Website connects media literacy with ecoliteracy. By filling a gap between media and environmental education, this resource offers sustainable and ethical media education tools for educators, community activists and cultural citizens engaged in transformative planetary change. In the spirit of sustainable communication, the final product will be open source and freely available to the global community via a Website portal. The resource will consist of free downloadable curricula, community space, online multimedia lessons and access to online trainings. This project requests help in developing a unified identity for all its materials: logo, print and Website.

Dianna Morton commented
ANtonio Lopez's blog is the best in media education. I mean it. I read and think about and explore all of his posts. He goes beyond analysis and contemplates how our humanity fits into this digital revolution and vica versa.
Hazem Elwattar commented
A great and useful idea
Aya Hazem commented
A very worthwhile project.
Pramod Parajuli, Ph.D. commented
Bringing media insights to ecoliteracy is very urgent. Antonio Lopez is at the forefront of those linkages and integration. Kudos to this emergent media and sustainability educator !!!
JohnGist commented
Here the piece breaks off for crystal structures:
<<<
# Na4Ti11O24
Simulated powder diffraction line list, Cu Kα X-rays. Input: a DFT-relaxed cell (PBE, the Materials Project).
Peak positions follow from Bragg's law for the DFT cell and can differ from measured ones.

Structure:
Unit cell a=10.503 b=10.503 c=6.155 alpha=106.04 beta=106.04 gamma=119.97
Sites, in units of the cell vectors:
Na1 0.000 0.000 0.000
Na2 0.349 0.673 0.041
Na3 0.383 0.383 0.146
Na4 0.673 0.349 0.041
Ti1 0.053 0.216 0.629
Ti2 0.054 0.715 0.151
Ti3 0.054 0.716 0.644
Ti4 0.216 0.053 0.629
Ti5 0.382 0.884 0.646
Ti6 0.385 0.385 0.641
Ti7 0.553 0.714 0.665
Ti8 0.714 0.553 0.665
Ti9 0.715 0.054 0.151
Ti10 0.716 0.054 0.644
Ti11 0.884 0.382 0.646
O1 0.104 0.618 0.865
O2 0.106 0.106 0.786
O3 0.150 0.663 0.429
O4 0.151 0.151 0.422
O5 0.266 0.419 0.826
O6 0.275 0.945 0.827
O7 0.281 0.937 0.398
O8 0.347 0.500 0.468
O9 0.419 0.266 0.826
O10 0.486 0.830 0.895
O11 0.492 0.822 0.468
O12 0.500 0.347 0.468
O13 0.615 0.615 0.873
O14 0.618 0.104 0.865
O15 0.663 0.150 0.429
O16 0.664 0.664 0.508
O17 0.775 0.980 0.899
O18 0.785 0.989 0.392
O19 0.822 0.492 0.468
O20 0.830 0.486 0.895
O21 0.937 0.281 0.398
O22 0.945 0.275 0.827
O23 0.980 0.775 0.899
O24 0.989 0.785 0.392

Most intense lines, 2θ from 10° to 90°, low angle first:
- 2θ 17.28, I 92
- 2θ 17.79, I 100
- 2θ 17.95, I 48
- 2θ 34.09, I 22
- 2θ 34.59, I 33
- 2θ 34.72, I 25
- 2θ 41.23, I 42
- 2θ 41.84, I 82
- 2θ 59.26, I 27
- 2θ 61.13, I 44


# Mg14CuSn
Simulated powder diffraction line list, Cu Kα X-rays. Input: a DFT-relaxed cell (PBE, the Materials Project).
Peak positions follow from Bragg's law for the DFT cell and can differ from measured ones.

Structure:
Unit cell a=10.338 b=6.254 c=6.254 alpha=60.41 beta=90.00 gamma=90.00
Sites, in units of the cell vectors:
Mg1 0.000 0.000 0.000
Mg2 0.000 0.001 0.501
Mg3 0.000 0.500 0.500
Mg4 0.000 0.501 0.001
Mg5 0.248 0.167 0.167
Mg6 0.254 0.665 0.665
Mg7 0.255 0.173 0.664
Mg8 0.255 0.664 0.173
Mg9 0.500 0.000 0.499
Mg10 0.500 0.499 0.000
Mg11 0.745 0.173 0.664
Mg12 0.745 0.664 0.173
Mg13 0.746 0.665 0.665
Mg14 0.752 0.167 0.167
Cu1 0.500 0.500 0.500
Sn1 0.500 0.002 0.002

Most intense lines, 2θ from 10° to 90°, low angle first:
- 2θ 18.51, I 30
- 2θ 23.80, I 17
- 2θ 32.94, I 28
- 2θ 34.71, I 40
- 2θ 37.37, I 100
- 2θ 37.56, I 49
- 2θ 48.60, I 18
- 2θ 59.09, I 16
- 2θ 63.97, I 22
- 2θ 70.38, I 20


# MgMo2WSe4S2
Simulated powder diffraction line list, Cu Kα X-rays. Input: a DFT-relaxed cell (PBE, the Materials Project).
Peak positions follow from Bragg's law for the DFT cell and can differ from measured ones.

Structure:
Unit cell a=3.283 b=3.283 c=36.814 alpha=90.00 beta=90.00 gamma=120.00
Sites, in units of the cell vectors:
Mg1 0.000 0.000 0.000
Mo1 0.333 0.667 0.868
Mo2 0.667 0.333 0.114
W1 0.333 0.667 0.338
Se1 0.667 0.333 0.292
Se2 0.667 0.333 0.385
Se3 0.667 0.333 0.822
Se4 0.667 0.333 0.914
S1 0.333 0.667 0.072
S2 0.333 0.667 0.155

Most intense lines, 2θ from 10° to 90°, low angle first:
- 2θ 12.02, I 67
- 2θ 31.48, I 53
- 2θ 32.97, I 47
>>>
The piece goes on:
This project is of vital importance!
Abeer Salem commented
This is a much needed resource for all those who are either interested in or affected by media and the environment -- and who isn't?
Katherine commented
This work is extremely important to all facets of sustainability education. This sort of blending of media with education for ecological and social literacies is vital for the times in which we live. These tools deserve wide recognition.
Institute for Earth Regenerative Studies commented
As the world continues to converge online, support is timely and vital to connect media and ecoliteracies! A very worthwhile venture for the Earth.
'''
V6AgO15: computed powder X-ray diffraction pattern (Cu Kα, 1.54184 Å), based on a cell relaxed with PBE+U.
No peak broadening, texture or thermal motion is included.

Top 10 peaks for 15° ≤ 2θ ≤ 90°, most intense first:
28.99°, I = 100
27.50°, I = 82
29.64°, I = 79
18.51°, I = 65
32.11°, I = 62
49.75°, I = 58
25.94°, I = 57
30.45°, I = 54
22.53°, I = 46
44.67°, I = 40

Cell and atoms:
```
22
Lattice="7.894 -1.833 0.000 7.894 1.833 0.000 -3.734 0.000 9.587" Properties=species:S:1:pos:R:3 pbc="T T T"
V 0.000 0.000 0.000
V 1.560 0.000 2.831
V -0.253 0.000 9.466
V 5.630 0.000 7.459
V 7.635 0.000 4.571
V 9.165 0.000 7.411
Ag 12.890 0.000 2.685
O -2.089 0.000 7.955
O 0.225 0.000 4.388
O 1.848 0.000 1.041
O 0.838 0.000 7.795
O 3.073 0.000 3.423
O 4.588 0.000 1.119
O 4.496 0.000 6.328
O 6.148 0.000 3.861
O 4.544 0.000 9.146
O 7.197 0.000 6.355
O 8.920 0.000 3.019
O 7.464 0.000 9.010
O 9.716 0.000 5.867
O 10.613 0.000 8.426
O 15.065 0.000 1.479
```
'''
(End of the calculated crystals)
Anonymous commented
I strongly support the goals of this website, which are worthy and important........Alex
Tina commented
This is an important project in sustainability-oriented education, an area of work that is important to all of our lives and to nature as a whole.
- - -
No. 1
Diffraction record for Sc2GaPd8. The powder diffraction line list is computed, not measured: it uses a cell relaxed with PBE and copper Kα.
No peak broadening, texture or thermal motion is included.

The 10 most intense peaks (10 to 90 degrees two-theta), sorted by position:
two_theta	d_spacing	I/Imax	hkl
28.20	3.165	9	1 1 2
38.44	2.342	23	1 0 5
39.38	2.288	18	0 0 6
40.20	2.243	33	2 0 0
41.70	2.166	100	1 2 3
57.53	1.602	11	2 0 6
62.69	1.482	10	0 2 8
74.08	1.280	17	3 2 3
77.14	1.237	15	2 2 8
77.68	1.229	9	2 4 0

Structure:
```
data_Sc2GaPd8
_chemical_formula_sum 'Sc4 Ga2 Pd16'
_symmetry_space_group_name_H-M 'I m m m'
_symmetry_Int_Tables_number 71
_symmetry_space_group_name_Hall '-I 2 2'
_cell_length_a 4.487
_cell_length_b 5.878
_cell_length_c 13.729
_cell_angle_alpha 90.00
_cell_angle_beta 90.00
_cell_angle_gamma 90.00
loop_
_atom_site_label
_atom_site_type_symbol
_atom_site_fract_x
_atom_site_fract_y
_atom_site_fract_z
Sc1 Sc 0.000 0.000 0.190
Ga1 Ga 0.000 0.000 0.500
Pd1 Pd 0.000 0.243 0.000
Pd2 Pd 0.000 0.264 0.362
Pd3 Pd 0.000 0.500 0.181
```

---

No. 2
Diffraction record for Dy2IrCl2. The powder diffraction line list is computed, not measured: it uses a cell relaxed with PBE and copper Kα.
No peak broadening, texture or thermal motion is included.

The 10 most intense peaks (10 to 90 degrees two-theta), sorted by position:
two_theta	d_spacing	I/Imax	hkl
29.38	3.040	32	0 0 2
31.24	2.863	100	5 1 -1
32.69	2.739	45	2 0 2
36.31	2.474	27	5 1 1
36.52	2.461	41	7 1 -1
36.73	2.447	27	7 1 0
38.46	2.340	24	5 1 -2
42.69	2.118	38	7 1 1
45.12	2.009	27	0 2 0
48.79	1.866	31	12 0 -1

Structure:
```
data_Dy2IrCl2
_chemical_formula_sum 'Dy8 Ir4 Cl8'
_symmetry_space_group_name_H-M 'C 1 2/m 1'
_symmetry_Int_Tables_number 12
_symmetry_space_group_name_Hall '-C 2y'
_cell_length_a 22.421
_cell_length_b 4.019
_cell_length_c 6.315
_cell_angle_alpha 90.00
_cell_angle_beta 105.68
_cell_angle_gamma 90.00
loop_
_atom_site_label
_atom_site_type_symbol
_atom_site_fract_x
_atom_site_fract_y
_atom_site_fract_z
Dy1 Dy 0.154 0.000 0.288
Dy2 Dy 0.190 0.500 0.827
Ir1 Ir 0.241 0.500 0.318
Cl1 Cl 0.084 0.500 0.406
Cl2 Cl 0.099 0.000 0.860
```

---

No. 3
Diffraction record for Pm7IrPt2. The powder diffraction line list is computed, not measured: it uses a cell relaxed with PBE and copper Kα.
No peak broadening, texture or thermal motion is included.

The 10 most intense peaks (10 to 90 degrees two-theta), sorted by position:
two_theta	d_spacing	I/Imax	hkl
16.34	5.426	14	2 0 0
23.18	3.837	34	2 2 0
28.49	3.133	66	2 2 2
33.02	2.713	100	4 0 0
40.73	2.215	16	4 2 2
47.39	1.918	73	4 4 0
56.23	1.636	30	6 2 2
58.97	1.566	25	4 4 4
78.90	1.213	33	8 4 0
88.22	1.108	26	8 4 4

Structure:
```
data_Pm7IrPt2
_chemical_formula_sum 'Pm28 Ir4 Pt8'
_symmetry_space_group_name_H-M 'F m -3 m'
_symmetry_Int_Tables_number 225
_symmetry_space_group_name_Hall '-F 4 2 3'
_cell_length_a 10.852
_cell_length_b 10.852
_cell_length_c 10.852
_cell_angle_alpha 90.00
_cell_angle_beta 90.00
- - -
Jens commented
This is a creative use of technology to advance education and disseminate meaningful tools to people you will use them!
Jens commented
This is a creative use of technology to advance education and disseminate meaningful tools to people you will use them!
Jens commented
This is a creative use of technology to advance education and disseminate meaningful tools to people you will use them!
Jake commented
This is relevant and timely work that needs to be available to a wide audience.
Jake commented
This is relevant and timely work that needs to be available to a wide audience.